In my last blog, I described a worrisome trend in leadership development (LD) programming – confidence that these programs are providing the leadership training that organizations need is declining despite the fact that organizations have significantly increased funding for these programs in recent years. I argued that this troublesome trend was the result of LD programming that was too abstract, too complex, and too process focused and that leaders needed to have better “roadmaps” to help them make decisions about what strategies and leadership skills to apply to leadership problems.
A better definition of leadership would help
Warren Bennis noted that in recent years, virtually all definitions of leadership focused on a familiar tripod – leaders, followers, and a common goal. In this model, leadership involved processes that leaders employed to induce followers to engage in achieving the common goal. While this model was a useful description of leadership in the past, it has serious limitations for developing leadership skills in contemporary organizational contexts because the model
- is a bad fit for many current organizations that encourage greater collaboration between organizational levels and discourage rigid leadership hierarchies,
- inevitably focuses on abstract processes such as influence and persuasion rather than results and outcomes,
- and mediating behavioral processes (i.e. influencing, persuading, and inducing) have weak operational definitions.
• Unrelated to this entry: calculated molecules:
+++
Here is a molecular structure, C2H5N5O in a non-equilibrium geometry from the OMol25 dataset. Energies are from the ωB97M-V functional and the def2-TZVPD basis.

Geometry as XYZ:
```
13
Properties=species:S:1:pos:R:3:forces:R:3
C -0.041 -0.435 0.005 -1.0 -1.3 -0.6
C -0.807 1.011 -1.426 1.7 1.7 -2.1
H -0.221 -3.206 2.174 -3.1 3.9 -3.0
H -2.122 -1.838 1.689 5.4 -0.8 -1.3
H -1.390 1.484 -2.268 0.8 -0.3 1.2
H 0.509 1.929 1.216 0.0 0.7 -0.1
H 2.387 1.027 1.433 -5.6 1.5 -1.7
N -0.931 -2.253 1.270 0.9 -2.2 2.2
N 0.270 -1.439 0.768 -4.5 0.7 0.4
N -1.195 0.036 -0.771 -0.4 -2.8 2.7
N 1.024 0.470 -0.192 -0.3 1.8 -0.1
N 1.102 1.155 1.012 6.8 -1.8 1.3
O 0.505 1.421 -1.292 -0.6 -1.1 1.0
```
Forces are in eV/Å.

## Properties
M: 115.096 g mol⁻¹
ΔE to the lowest compared entry with this formula, charge and spin: 925.4 kJ/mol
HOMO energy: -8.26 eV
Electronic energy: -11642.9536 eV
Charge: 0
Orbital gap: 8.312 eV

Results of the Löwdin charge analysis, in e, for atoms 1 through 5: atom 1 (C): -0.43, atom 2 (C): -0.24, atom 3 (H): 0.21, atom 4 (H): 0.18, atom 5 (H): 0.15

=====

A single H3OPSi molecule in a non-equilibrium geometry. Source: OMol25; level of theory: ωB97M-V/def2-TZVPD.

Properties
Calculated total energy ... -707.826023 hartree
SMILES ... O1[SiH2]P1
Highest occupied orbital energy ... -9.0 eV
Frontier orbital gap ... 8.951 eV
ΔE to the lowest compared entry with this formula, charge and spin ... 16.46 kcal/mol
E_LUMO ... -0.04 eV

Bonds (Å) are listed after each position.
Positions of all 6 atoms, in Å:
1 O -0.9102 -0.6903 0.0288  Si2 1.544, P3 1.746
2 Si 0.5936 -0.4102 0.2360  O1 1.544, P3 2.241, H4 1.628, H5 1.411
3 P -1.1420 0.9969 0.4141  O1 1.746, Si2 2.241, H6 1.434
4 H 1.2460 -0.3521 -1.2543  Si2 1.628
5 H 0.9051 -1.2620 1.3172  Si2 1.411
6 H -0.6925 1.7176 -0.7418  P3 1.434

Partial charges, Mulliken, in e:
1. O -0.2193
2. Si 0.2508
3. P 0.0390
4. H -0.0363
5. H -0.0606
6. H 0.0264

=====

(1)
# C11H18O

2 unconnected molecules or ions with the total composition C11H18O in a non-equilibrium geometry (wB97M-V/def2-TZVPD, the Open Molecules 2025 dataset).

```
30
Properties=species:S:1:pos:R:3:mulliken_charge:R:1
C -2.40579 0.91191 -2.18550 -1.0888
H -0.79930 1.03703 1.64506 0.1251
H 2.62220 1.95665 -0.77582 0.2949
H -0.26449 -2.03046 -0.99306 0.2580
O 3.43876 -0.08823 0.61699 -0.5490
C -0.08145 -0.00793 -1.56107 0.3753
C -2.65855 -1.04369 2.33383 -1.1610
C -1.23456 -0.03280 -2.53914 -0.9117
C 0.29740 -1.11708 -0.83035 -0.3653
C 0.74368 1.12914 -1.51604 -0.4987
C 1.43026 -1.11377 -0.00540 -0.6100
H 4.08830 0.58432 0.35350 0.3102
H -2.81994 -0.56053 1.40220 0.2236
H 0.39136 1.95861 -2.12672 0.3846
C -1.20805 -0.78599 2.70379 0.2915
H -2.78578 1.41861 -3.05932 0.2962
H 1.49768 -1.88775 0.73747 0.4250
H -0.57075 -1.14060 1.90269 -0.2153
H -1.77984 1.38516 2.97811 0.3377
C 2.24590 0.00354 -0.04736 0.9737
H -1.54327 -1.05726 -2.58172 0.3739
H -0.87782 0.20180 -3.53347 0.4175
C -0.94174 0.73706 2.69292 -0.9587
H -0.77628 -1.22941 3.60634 0.3730
+++
In order to make leadership more concrete and teachable, LD programs usually build their curriculum around leadership competencies. While leadership competency models are certainly useful, they cannot be considered a substitute for a teachable model of leadership. I conceive of leadership competencies as the building blocks for effective leadership. However, a teachable model should also include strategies for how to apply the competencies in the various situations that leaders encounter.
An effective and teachable model of leadership, therefore, must have 3 components:
The purpose component has two facets: (1) the objective to be achieved (i.e., whether it is economic, political, and/or societal); and (2) the organizational level of the leader (i.e., supervisor, team leader, middle manager, or executive). For example, the strategies that are often effective for supervisors (action-focused and direct problem-solving) may be much less effective at the executive level. Establishing a clear purpose is important in determining the leadership strategies that will be most effective in achieving the leader’s objective.
Other factors involved in selecting a leadership strategy are the maturity of the team or organization[1] and the leaders strengths and weaknesses as a leader.
I will discuss in greater detail leadership strategies that are available to leaders at all levels in a later blog.
In place of the tripod model, I suggest a definition that emphasizes results and outcomes as well as a willingness to engage or take responsibility for achieving objectives. Simply stated, leaders must first consider the context (i.e., purpose, team/organizational maturity, and personal leadership strengths and weaknesses ) in selecting a leadership strategy. The strategy selected, then, determines the leadership competencies that will be used to execute the leadership strategy.
Leadership is taking responsibility for getting things done through people.
Leaders, after all, are evaluated and compensated for achieving results. In addition, research[2] has indicated a strong positive relationship between the capabilities of leaders and the fate of organizations. By using a results-based definition of leadership, we ensure that we are focused on tangible outcomes rather than appearance (as is often the case in assessing potential for leadership).
A number of researchers at the Center for Creative Leadership[3] (CCL) have suggested the following causal path to describe how leaders can achieve their objectives. The front end of this path is the organization’s leadership culture: individual beliefs about leadership, collective leadership beliefs, and individual leadership practices. Depending upon the context, leaders take action to provide direction, create alignment, and instill commitment. These actions, if successful, achieve the desired long-term outcomes. In organizational systems terms, leadership culture is Input; actions to achieve direction, alignment, and commitment are the Throughput; and the achievement of organizational goals is the Output.
My next blog will discuss leadership strategies that are commonly used by successful leaders to achieve the direction, alignment, and commitment that CCL research describes.
Skipton Leonard, PhD
Managing Director
[1] Hersey, P. & Blanchard, K.H. (1977). Management of organizational behavior: Utilizing human resources (3rd ed.). Upper Saddle River, NJ: Prentice Hall.
[2] Kaiser, R.B., Hogan, R., & Craig, S.B. (2008). Leadership and fate of organizations. American Psychologist, 63, 2, 96-110.
[3] Drath, W.H., McCauley, C.D., Palus, C.J., Van Velsor, E., O’Connor, P.M.G., McGuire, J.B. (2008). Direction, alignment, commitment: Toward a more integrative ontology of leadership. The Leadership Quarterly, 19, 635-653.